Peak Bitcoin: What the 80% threshold means for the future
17 June, 2018
# These data records were left in the text by mistake
- - -
Entry 1:
ORCA calculation (wB97M-V/def2-TZVPD) on C20H21N5O10PSTa as an isolated structure at a distorted geometry.

Values from the calculation:
energy = -70673.222 eV
max |F| = 1.364 eV/Å
total charge = +2
frontier orbital gap = 6.85 eV
relative energy (zero: lowest compared OMol25 entry of this formula, charge and spin) = 8.4 kcal per mole
HOMO level = -13.433 eV

Atoms and positions in Å:
Ta 0.474 0.018 0.695
O 0.751 0.768 6.819
C 0.627 0.595 5.509
C -0.588 0.266 4.887
C -0.576 0.121 3.525
N 0.546 0.259 2.823
C 1.700 0.608 3.396
C 1.791 0.787 4.747
C 2.788 0.829 2.374
O 3.838 1.329 2.606
O 2.355 0.437 1.145
C -1.760 -0.166 2.641
O -2.861 -0.386 3.010
O -1.356 -0.139 1.327
H -0.085 0.639 7.286
H -1.511 0.148 5.440
H 2.721 1.081 5.215
N 3.299 7.029 -1.905
C 2.533 5.973 -1.592
C 1.214 5.879 -2.095
C 0.428 4.808 -1.782
C 0.941 3.801 -0.944
C 2.254 3.874 -0.434
C 3.036 4.945 -0.760
S -0.052 2.518 -0.546
O -1.425 2.741 -0.837
O 0.284 2.095 0.865
N 0.435 1.009 -1.220
C -0.016 0.859 -2.533
N -0.240 -0.391 -2.998
C -0.653 -0.566 -4.278
C -0.830 0.508 -5.095
C -0.576 1.762 -4.537
N -0.170 1.929 -3.287
H 2.940 7.788 -2.457
H 4.223 7.136 -1.524
H 0.825 6.671 -2.723
H -0.584 4.744 -2.154
H 2.651 3.100 0.211
H 4.043 5.018 -0.370
H -0.830 -1.589 -4.580
H -1.159 0.388 -6.116
H -0.708 2.664 -5.124
C -0.832 -4.160 -2.931
O -1.101 -2.795 -2.471
P -0.158 -1.764 -1.776
O 0.802 -1.761 0.990
C 0.677 -3.062 1.541
O 1.274 -2.345 -2.126
C 2.570 -1.786 -1.799
H -1.158 -4.216 -3.965
H -1.427 -4.818 -2.309
H 0.227 -4.377 -2.851
H 1.668 -3.479 1.704
H 0.118 -3.688 0.845
H 0.135 -3.007 2.484
H 3.301 -2.412 -2.298
H 2.728 -1.807 -0.724
H 2.642 -0.767 -2.180



Entry 2:
ORCA calculation (wB97M-V/def2-TZVPD) on one molecule with the formula C16H26N4O3S at a distorted geometry.

Values from the calculation:
energy = -39953.435 eV
max |F| = 1.036 eV/Å
SMILES string = CCCCCCC(=O)N/N=C/c1c(O)n(CCCC)c(=S)[nH]c1=O
total charge = 0
frontier orbital gap = 8.23 eV
relative energy (zero: lowest compared OMol25 entry of this formula, charge and spin) = 1.0 kcal per mole
HOMO level = -8.416 eV

Atoms and positions in Å:
C -1.130 -3.459 1.396
C -2.373 -2.586 1.514
C -2.058 -1.123 1.209
C -3.291 -0.218 1.281
C -4.178 -0.301 0.037
C -3.645 0.530 -1.140
C -3.901 1.997 -0.893
O -4.993 2.512 -0.972
N -2.828 2.774 -0.542
N -1.562 2.338 -0.397
C -0.644 3.167 -0.052
C 0.717 2.754 0.131
C 1.113 1.442 -0.055
O 0.262 0.502 -0.428
N 2.396 1.039 0.144
C 2.747 -0.358 -0.060
C 3.145 -0.620 -1.512
C 3.431 -2.098 -1.772
C 4.651 -2.611 -1.016
C 3.374 1.943 0.482
S 4.949 1.520 0.677
N 2.978 3.232 0.658
C 1.693 3.754 0.521
O 1.485 4.929 0.715
H -1.367 -4.497 1.620
H -0.362 -3.126 2.092
H -0.723 -3.410 0.388
H -3.134 -2.952 0.822
H -2.780 -2.667 2.524
H -1.607 -1.061 0.218
H -1.316 -0.772 1.931
H -3.880 -0.503 2.155
H -2.977 0.817 1.428
H -5.180 0.061 0.275
H -4.267 -1.341 -0.278
H -2.587 0.338 -1.308
H -4.205 0.260 -2.038
H -3.028 3.763 -0.377
H -0.845 4.224 0.125
H -0.640 0.931 -0.491
H 1.882 -0.964 0.211
- - -

We are nearing peak bitcoin! Hold up, you may say. bitcoin has a hard limit of 21 million, and the last coin is expected to be minted sometime around the year 2140 - long past the projected lifespans of any crypto holder alive today. So how can you realistically say we're nearing peak bitcoin?
The term is, admittedly, borrowed from the oil industry. The phrase "peak oil" does not mean that all of the fossil fuels everywhere on the planet have been drilled, pumped, and sucked out of existence.1
Peak oil represents an important crossover threshold. It is well beyond our scope here to discuss exactly when and how peak oil will be reached, but everyone can agree that at some point, the cost of extracting oil from increasingly hard-to-reach deposits will outweigh its value as a fuel. That is, it will be so prohibitively expensive to get more oil that technologies like solar, wind, and other renewables will seem cheap by comparison.
That's a crude analogy, but it has some direct parallels to the world of bitcoin mining.
In the early days, bitcoins could be mined - very profitably, it turns out - with a common desktop computer's CPU. The difficulty of mining bitcoin now restricts access primarily to application specific integrated circuits, and even those most cooperate in pools. There are some companies that exist solely to mine bitcoin, setting up vast server farms in countries with cheap electricity and cool temperatures, like Iceland.
Clearly, the capital curve for mining bitcoin is increasing. In the next year or so, about 80 percent of all the bitcoins that can ever be mined will be out in the wild.2 We're going to take a look at what that "peak bitcoin" threshold means for miners and the market at large.
The Lay of the Land
A little background is in order. The basics are that bitcoin is a proof-of-work coin, and the coin is hard-coded to have a maximum supply of 21 million. This cannot change without a major alteration to bitcoin's code.
This number is a little nebulous, as there have been fairly big chunks of bitcoin lost over the years to misplaced private keys, tossed hard drives, and theft.3 We're going to discount those and work purely with the theoretical 21 million number. That is, in a perfect world, 21 million bitcoin are alive and well in circulation as of 2140.
We should probably take a step back even further. Why cap the supply at 21 million?
A finite coin supply tows to the age-old fundamental of supply and demand. A coin with a limited supply is inherently worth more than a coin with a limitless supply. This makes sense, and currency supply is tightly monitored by most major fiat currency issuers. A glut of currency on the market is one of the indicators of inflation. That is, having more dollars doesn't mean anything, as each dollar is worth less due to the growing supply.
So, that's one reason for capping the supply. The other has to do with bitcoin's proof-of-work mechanism.
Bitcoins are created when miners solve blocks. Every 2016 blocks - or about every two weeks - the rate of block creation is adjusted. The number of bitcoins created per block decreases in a geometric fashion, going down by 50 percent every 210,000 blocks - or about every four years.4
The reason 21 million was chosen is debated, and since bitcoin creator Satoshi Nakamoto has never identified him/her/itself, we can only guess. The figure of 21 million fits fairly well into a four-year halving schedule. Some have speculated that 21 million bitcoins, divided up into discrete portions called satoshis, are close to the maximum capacity of a 64-bit floating point number. It's really impossible to say without Nakamoto's input.
Peak Bitcoin
So, what's the big deal about hitting the 80 percent marker? Knowing the bitcoin mining difficulty goes up over time and rewards go down, the 80 percent threshold represents an important limit for some miners.
As some market observers have noted, the 80 percent threshold signals a difficulty increase that may once and for all drive nonprofessional miners from the market. We're using "nonprofessional" here to mean someone for whom mining is at least a part-time source of income. It takes an awful lot of capital in equipment and electricity costs to be a bitcoin miner. Past the 80 percent threshold, that bar goes up considerably.5
This will have two interesting side effects. We'll take a look at both the supply and the demand side of the market.
The first and most obvious is that bitcoin mining will become far less democratic. Centralization will take place as only the biggest and most powerful miners can stay profitable. Moreover, this will put in place a trend; once the ball starts rolling toward centralization, it will be impossible to stop without a fundamental change in bitcoin's code. That means the ability to create bitcoin will fall into fewer and fewer hands. Ironically, those hands are likely to be very wealthy and connected - a centralization theme that bitcoin was initially chosen to combat. Only miners with access to lots of computing power and money to pay for electricity will be able to create new coins.
The second big effect this will have is market based. bitcoin adoption is likely to grow. If the available supply of bitcoin's simultaneously shrinks, it should grow in value in keeping with the law of supply and demand.
Like most things in crypto, however, the story is not that simple. The few bitcoins still being created will be in the hands of very few, who might not immediately opt to release them to the market at large. This creates a situation analogous to diamonds.6 Diamonds, technically, aren't very rare. In fact, they're fairly abundant. However, diamond producers are a small, tight-knit bunch. By keeping the number of diamonds in circulation low, these cartels can keep prices artificially high. We might see, then, a similar situation developing with bitcoin. Divorced from traditional laws of supply and demand, prices might spike due to hoarding at the highest mining levels.
Unrelated to this piece: data records.
-- begin --
Formula: C21H35BO2OsP2
Source: OMol25
Level of theory: ωB97M-V with the def2-TZVPD basis set

The geometry in XYZ format:
```
62
Properties=species:S:1:pos:R:3:forces:R:3:lowdin_spin:R:1
P 1.8160 1.5918 -0.6790 6.4 -1.0 -3.4 0.1222
P 0.6222 -1.1097 -2.6753 1.5 -4.0 -1.1 0.0103
C 2.7994 0.4376 -2.3068 -0.8 -0.3 -0.1 0.0402
C 1.8502 -0.0600 -3.3995 0.0 0.5 -0.1 0.0035
H 3.2731 -0.4230 -1.7769 -0.5 0.7 -0.4 0.0016
H 3.6159 1.0593 -2.7488 -0.9 -0.2 0.5 0.0034
H 1.2815 0.7447 -3.8987 0.6 -0.1 -0.1 0.0004
H 2.3018 -0.7505 -4.1391 0.1 0.8 0.0 0.0008
C 1.3115 -2.7926 -2.7603 0.2 0.0 -0.9 0.0044
H 0.5230 -3.5669 -2.6316 0.6 0.6 0.0 0.0001
H 2.2287 -3.0123 -2.1615 -1.0 0.4 -0.7 0.0002
H 1.5731 -2.7328 -3.8259 0.3 -1.0 0.1 0.0003
C -0.7288 -1.2825 -3.8280 -0.1 0.4 0.4 0.0031
H -0.1462 -1.7288 -4.6288 -0.3 0.1 -0.6 0.0002
H -1.1373 -0.3216 -4.1259 -0.2 -0.1 -0.1 0.0001
H -1.4754 -1.9987 -3.4956 0.0 0.2 -0.2 0.0001
C 3.6529 1.4124 -0.1858 -0.7 1.0 1.2 0.0102
H 3.7294 1.9598 0.7527 0.6 0.0 0.1 0.0006
H 4.3068 1.8541 -0.9579 -0.4 -0.1 0.5 0.0032
H 3.9605 0.3645 -0.0249 -0.4 0.5 0.0 -0.0001
C 1.8374 2.9815 -1.8472 0.6 0.8 0.3 0.0997
H 1.0164 2.8935 -2.5831 0.3 0.3 0.4 0.0023
H 2.8237 3.0461 -2.3510 -0.7 0.3 0.2 0.0120
H 1.6747 3.8023 -1.1134 0.1 0.4 -1.3 0.0518
Os 0.1149 2.6688 0.4817 -2.2 -0.5 3.1 1.9975
C -1.3326 -1.9809 -0.8919 -2.4 0.9 0.7 0.0025
C -0.7943 -2.3284 0.3025 -1.4 -2.9 -0.7 -0.0002
C 0.3491 -3.3012 0.3915 0.2 -0.9 0.8 0.0013
C 1.7719 -2.5501 0.3422 0.6 -0.3 -0.4 0.0019
C 1.5015 -1.1721 -0.0450 -1.7 2.3 -1.3 0.0231
C 0.6430 -0.7168 -1.0432 0.4 1.8 2.5 0.0119
C -0.4845 0.3474 -1.0728 -0.5 2.2 2.1 0.1708
C -1.7549 -0.4934 -0.9775 -1.6 -0.4 0.0 0.0199
C 0.5058 3.5341 2.3619 1.1 0.2 0.8 0.1181
H -1.7197 -2.6482 -1.6891 1.7 0.2 0.2 0.0001
H -1.4114 -2.0624 1.1885 1.6 1.1 -0.1 0.0004
H 0.4549 -4.0880 -0.3822 -0.8 0.6 0.1 0.0000
H 0.3587 -3.8364 1.3451 -0.2 0.1 -0.1 0.0001
H 2.3094 -2.6227 1.3133 -0.4 0.2 -0.8 0.0001
H 2.4123 -2.9853 -0.4424 -0.3 -0.5 0.8 0.0003
H 1.6703 -0.3906 0.6735 -0.2 -0.1 0.9 0.0037
H 0.0804 1.3488 1.5697 0.5 0.1 -1.2 0.0230
H -0.6070 1.1888 -1.8239 0.8 -1.5 -0.1 0.0052
H -0.5598 1.1551 -0.0953 -0.5 -2.5 -1.4 0.0274
H -2.3438 -0.2303 -0.0597 0.4 -0.1 -0.7 0.0066
H -2.3300 -0.1843 -1.8688 -0.4 -0.7 0.6 0.0030
H -0.3338 4.1393 2.7327 0.3 0.0 -0.1 0.0272
H 1.4095 4.1713 2.2589 -0.6 -0.2 0.0 0.0279
H 0.7660 2.7771 3.1542 -0.3 0.7 -0.9 0.0088
O -1.1384 1.1614 3.0454 -1.4 -0.4 0.7 0.1596
B -1.4403 1.9077 1.7876 0.0 -0.1 0.6 0.1441
O -2.9004 2.0221 1.8258 -0.1 -1.1 0.4 0.0898
C -3.3752 1.2364 2.8482 -0.7 1.0 -0.9 0.1782
C -4.6637 0.8995 3.2644 -0.4 0.3 -0.4 -0.0123
C -4.8111 0.2039 4.4765 -0.7 0.5 -0.9 0.2211
C -3.6935 -0.2381 5.2075 1.8 -0.5 0.4 0.1244
C -2.4138 0.0000 4.7332 -0.4 -0.8 1.1 0.0353
C -2.2818 0.7548 3.5855 2.0 0.5 -0.1 0.2020
H -5.5327 1.1720 2.6675 0.2 0.1 0.3 -0.0035
H -5.8029 -0.0301 4.8828 0.4 0.2 -0.4 0.0085
H -3.8119 -0.8096 6.1375 -0.1 0.3 -0.5 0.0031
H -1.5208 -0.3878 5.2065 -0.1 0.1 0.2 -0.0013
```
-- stop --
This isn't a given, however. There are still large numbers of bitcoin that were mined in the coin's early days that were never released into the circulating supply. This could keep the price under control well into the future.
Technological advances might also throw a monkey wrench into this calculation. If new mining rigs are developed that allow smaller miners to stay profitable, the system will maintain something like a status quo. Furthermore, transaction fees could rise, giving smaller miners some parity as the difficulty level increases.
The 21 Club
There's a small group of individuals who count themselves part of the so-called 21 Club. These individuals own at least one full bitcoin. Membership is necessarily limited to 21 million or less, due to bitcoin's finite supply.7
Only time will tell whether the club increases meaningfully in number over the next 120 years. bitcoin mining becomes more difficult every day, concentrating mining ability in fewer and fewer hands. However, cryptocurrency and market disruption seem to go hand in hand, so it's still possible for some as-yet-unseen factor to keep bitcoin as democratic as Nakamoto originally envisioned it.
1) Why the Prospect of Peak Oil is Hotly Debated, Bloomberg.
2) 80% of All bitcoins Will Have Been Mined In a Year From Now, The Merkle.
3) Nearly Four Million bitcoins Lost Forever, Fortune.
4) Controlled Supply, bitcoin Wiki.
5) What Happens to bitcoin After All 21 Million Are Mined?, Investopedia.
#a
Density functional theory data (the ωB97M-V functional and the def2-TZVPD basis) for a structure of composition C34H23ClN7O3Rh.

Geometry as XYZ:
```
69
C34H23ClN7O3Rh, DFT the ωB97M-V functional and the def2-TZVPD basis
Rh -0.268 -0.435 -0.308
C 3.560 -1.310 -2.119
C 3.814 -0.264 -2.987
C 3.008 0.848 -2.908
C 1.958 0.904 -1.991
N 1.747 -0.094 -1.106
C 2.534 -1.174 -1.207
N 1.193 2.068 -2.118
C 0.140 2.313 -1.441
N -0.550 1.515 -0.559
C -1.408 2.267 0.173
N -2.009 1.995 1.278
C -1.678 0.904 2.076
C -2.358 0.894 3.302
C -2.149 -0.108 4.215
C -1.241 -1.111 3.897
C -0.601 -1.048 2.682
N -0.798 -0.076 1.769
C -1.479 3.624 -0.446
C -2.202 4.744 -0.096
C -1.946 5.909 -0.817
C -0.979 5.938 -1.822
C -0.231 4.805 -2.138
C -0.516 3.654 -1.435
H 4.133 -2.226 -2.135
H 4.610 -0.319 -3.717
H 3.134 1.702 -3.557
H 2.324 -1.971 -0.532
H -3.049 1.705 3.479
H -2.681 -0.114 5.158
H -1.027 -1.932 4.565
H 0.095 -1.817 2.408
H -2.931 4.710 0.703
H -2.491 6.813 -0.581
H -0.797 6.863 -2.353
H 0.542 4.818 -2.895
O -0.280 -0.832 -2.231
C -1.132 -0.283 -3.070
C -0.688 -0.010 -4.377
C -1.555 0.461 -5.335
C -2.901 0.698 -5.031
C -3.340 0.464 -3.748
C -2.471 -0.008 -2.756
C -2.950 -0.335 -1.425
N -2.243 -0.844 -0.418
C -3.147 -1.145 0.594
C -4.390 -0.803 0.201
N -4.248 -0.287 -1.070
H 0.354 -0.201 -4.600
H -1.189 0.651 -6.337
H -3.586 1.051 -5.789
H -4.384 0.646 -3.519
H -2.843 -1.634 1.501
H -5.344 -0.890 0.687
H -4.983 0.082 -1.643
Cl 6.093 -2.484 3.244
C 4.520 -2.706 2.531
C 3.706 -1.607 2.328
C 2.459 -1.790 1.746
C 2.014 -3.056 1.375
C 2.855 -4.143 1.605
C 4.107 -3.979 2.173
C 0.665 -3.364 0.720
O 0.285 -4.523 0.799
O -0.040 -2.455 0.118
H 4.045 -0.621 2.613
H 1.850 -0.917 1.572
H 2.500 -5.126 1.328
H 4.757 -4.825 2.344
```

## Properties
HOMO-LUMO gap   7.07 eV
Lowest unoccupied orbital energy   -0.0287 Ha
HOMO level   -7.85 eV

#b
Density functional theory data (the ωB97M-V functional and the def2-TZVPD basis) for a structure of composition C34H23ClN7O3Rh.

Geometry as XYZ:
```
69
C34H23ClN7O3Rh, DFT the ωB97M-V functional and the def2-TZVPD basis
Rh -0.253 -0.185 -0.325
C -1.627 -4.054 -1.379
C -0.730 -4.534 -2.328
C 0.231 -3.685 -2.814
C 0.316 -2.364 -2.348
N -0.550 -1.918 -1.419
C -1.496 -2.756 -0.952
N 1.292 -1.597 -2.952
C 1.704 -0.457 -2.526
N 1.350 0.238 -1.406
C 1.873 1.504 -1.458
N 1.674 2.513 -0.691
C 0.943 2.467 0.480
C 1.083 3.583 1.318
C 0.501 3.597 2.561
C -0.207 2.476 2.982
C -0.332 1.424 2.110
N 0.179 1.432 0.867
C 2.742 1.591 -2.654
C 3.517 2.621 -3.148
C 4.208 2.385 -4.331
C 4.113 1.160 -4.990
C 3.324 0.131 -4.487
C 2.650 0.374 -3.307
H -2.408 -4.675 -0.965
H -0.787 -5.556 -2.680
H 0.950 -3.990 -3.560
H -2.147 -2.334 -0.201
H 1.689 4.398 0.952
H 0.617 4.455 3.209
H -0.650 2.408 3.964
H -0.859 0.524 2.391
H 3.577 3.568 -2.627
H 4.829 3.165 -4.753
H 4.662 1.011 -5.911
H 3.237 -0.822 -4.990
O -1.980 -0.527 0.735
C -2.845 0.424 0.986
C -3.662 0.282 2.128
C -4.570 1.244 2.501
C -4.722 2.408 1.744
C -3.958 2.557 0.610
C -3.031 1.589 0.200
**Back to the page**
6) World Diamond Supply to Peak in 2017, SCMP.
7) 21 BTC Club Price of Admission now $175,000, Reddit.